Thucydides has been dubbed the father of “scientific history” due to his strict standards of evidence-gathering and analysis in terms of cause and effect without reference to intervention by the gods, … [and] the father of the school of political realism, which views the relations between nations as based on might rather than right.
[Next to the page, the page also holds records of molecules]
┌──
{"formula": "C35H48AuBrF5PTe", "method": "ωB97M-V/def2-TZVPD", "symbols": ["Au", "C", "C", "C", "C", "C", "C", "Te", "C", "C", "C", "H", "H", "H", "H", "H", "H", "H", "H", "H", "H", "H", "F", "C", "F", "C", "F", "F", "F", "Br", "C", "C", "C", "C", "C", "C", "H", "H", "H", "H", "C", "C", "C", "C", "C", "C", "P", "C", "C", "C", "C", "C", "C", "C", "C", "C", "C", "C", "C", "H", "H", "H", "H", "H", "H", "H", "H", "H", "H", "H", "H", "H", "H", "H", "H", "H", "H", "H", "H", "H", "H", "H", "H", "H", "H", "H", "H", "H", "H", "H", "H", "H"], "xyz": [[-0.561, 0.286, -1.178], [-1.280, -5.454, -5.192], [-1.592, -4.534, -4.043], [-2.832, -3.927, -3.920], [-3.129, -3.060, -2.871], [-4.508, -2.463, -2.795], [-2.140, -2.784, -1.921], [-2.545, -1.376, -0.377], [-0.898, -3.433, -1.991], [0.166, -3.285, -0.935], [-0.646, -4.287, -3.057], [-2.083, -5.449, -5.928], [-1.146, -6.481, -4.846], [-0.359, -5.154, -5.693], [-3.596, -4.126, -4.665], [-5.136, -2.854, -3.595], [-4.473, -1.377, -2.877], [-4.985, -2.699, -1.843], [0.503, -2.254, -0.810], [1.036, -3.894, -1.184], [-0.214, -3.603, 0.039], [0.321, -4.777, -3.118], [-2.615, -0.046, -3.234], [-1.283, 0.231, -3.178], [-0.660, -0.702, -3.947], [-1.173, 1.578, -3.943], [-1.459, 2.605, -3.118], [0.037, 1.776, -4.462], [-2.046, 1.630, -4.954], [5.356, 2.402, -3.669], [3.660, 1.876, -3.003], [2.839, 2.818, -2.411], [1.605, 2.420, -1.908], [1.187, 1.098, -1.981], [2.019, 0.180, -2.622], [3.254, 0.558, -3.129], [3.151, 3.852, -2.349], [0.958, 3.181, -1.491], [1.708, -0.851, -2.745], [3.892, -0.165, -3.619], [-1.586, -1.102, 4.833], [-0.610, -2.009, 4.071], [-0.374, -1.519, 2.633], [-0.474, 0.011, 2.579], [-1.916, 0.461, 2.885], [-2.604, -0.490, 3.877], [0.203, 0.774, 1.048], [2.040, 0.707, 1.225], [2.611, 1.052, 2.626], [3.148, -0.184, 3.342], [4.319, -0.802, 2.568], [4.115, -0.678, 1.049], [2.630, -0.618, 0.706], [-0.189, 2.579, 1.110], [-1.606, 2.955, 0.650], [-1.634, 4.439, 0.254], [-0.724, 5.291, 1.156], [-0.599, 4.648, 2.533], [0.149, 3.310, 2.428], [-1.041, -0.295, 5.333], [-2.084, -1.666, 5.624], [-1.010, -3.025, 4.029], [0.337, -2.071, 4.613], [-1.123, -1.932, 1.960], [0.590, -1.877, 2.275], [0.176, 0.404, 3.368], [-2.502, 0.505, 1.965], [-1.903, 1.475, 3.290], [-3.119, -1.285, 3.330], [-3.370, 0.056, 4.429], [2.368, 1.480, 0.522], [1.880, 1.557, 3.254], [3.430, 1.767, 2.497], [2.342, -0.914, 3.451], [3.459, 0.078, 4.355], [4.428, -1.851, 2.850], [5.250, -0.306, 2.855], [4.590, -1.510, 0.528], [4.595, 0.231, 0.672], [2.127, -1.481, 1.148], [2.478, -0.687, -0.369], [0.491, 2.951, 0.338], [-2.315, 2.767, 1.457], [-1.936, 2.347, -0.194], [-2.663, 4.798, 0.315], [-1.330, 4.544, -0.790], [-1.110, 6.308, 1.231], [0.275, 5.375, 0.716], [-1.599, 4.488, 2.946], [-0.077, 5.303, 3.232], [-0.092, 2.691, 3.294], [1.225, 3.497, 2.466]], "homo_lumo_gap_ha": 0.2648, "energy_ha": -5180.90958, "e_above_lowest_kj_mol": 16.2, "charge": 0}

---
└──
This famously objective historian was however actually rather partisan:
If Herodotus retains his proper title as the “father of history,” Thucydides, his younger contemporary and author of the “History of the Peloponnesian War,” an elaborate account of that bloody 30-year internecine spat between Athens and Sparta in the 5th century, B.C., might be called the father of all those historians who aspire to comprehend the past coolly, objectively, dispassionately, scientifically and without a brief for any partisan cause. He was the first sociologist. Or so we have blithely tended to believe. …
Contrary to prevailing notions that Thucydides penned his work from a distant, Olympian remove, he was actually a participant — an accomplice, really — in the war he so eloquently and painstakingly depicted; his was a partisan’s point of view. A general high in the Athenian command earlier in the war, he was forced into exile after he lost Amphipolis to the enemy in 422. Years later, he wrote his account to defend his actions and indeed those of his class. Democracy was, he believed, ever prone to dangle before citizens the deceptive promises and baubles of demagogues like Alcibiades, at whose door he placed blame for the Sicilian debacle. And so it was Athenian democracy itself that caused Athens’s eventual defeat, not her more enlightened generals like Nicias and himself. The “History,” according to Kagan, represented as much as anything else Thucydides’ apologia, not a detached rationalist’s tale of simple cause and effect.
Real objectivity is much more a niche than a mass market. So while one might expect the rare historian to try to be cool and objective, one should be surprised to find that such a historian is very popular. So one should have been surprised by Thucydides’ popularity, given his supposed objectivity. Learning that he was in fact quite partisan resolves that puzzle quite nicely.
These quantum chemistry results were left in the entry by mistake
~~~
1.
Below is a 2-piece molecular cluster, C20H44NO2 overall, with properties calculated with wB97M-V/def2-TZVPD.

Computed properties:
- Total charge: -1
- Highest occupied orbital energy: -0.78 eV

Geometry (Å):
C: 1.639 3.028 6.793
C: 1.705 3.760 5.455
C: 0.356 3.827 4.720
C: -0.413 2.511 4.734
C: -1.638 2.497 3.829
C: -2.269 1.107 3.701
C: -1.407 0.109 2.909
C: -0.546 -0.820 3.786
C: -1.124 -2.230 3.922
C: -0.975 -3.064 2.649
C: 0.492 -3.396 2.311
C: 0.972 -2.777 0.997
C: 0.352 -3.429 -0.234
C: 0.835 -2.809 -1.541
H: 2.611 3.132 7.305
H: 0.908 3.552 7.444
H: 2.064 4.816 5.491
H: 2.420 3.258 4.783
H: 0.508 4.124 3.671
H: -0.267 4.612 5.171
H: 0.283 1.707 4.463
H: -0.693 2.277 5.765
H: -2.395 3.201 4.195
H: -1.360 2.853 2.827
H: -3.264 1.188 3.251
H: -2.426 0.707 4.711
H: -0.759 0.670 2.228
H: -2.053 -0.499 2.266
H: 0.470 -0.886 3.386
H: -0.430 -0.375 4.776
H: -0.631 -2.754 4.749
H: -2.183 -2.162 4.195
H: -1.566 -3.980 2.733
H: -1.412 -2.503 1.816
H: 0.628 -4.481 2.260
H: 1.137 -3.049 3.122
H: 0.727 -1.708 0.997
H: 2.063 -2.836 0.929
H: 0.584 -4.500 -0.230
H: -0.739 -3.357 -0.182
H: 0.703 -1.724 -1.525
H: 0.292 -3.200 -2.404
H: 1.898 -3.007 -1.703
C: -0.610 -0.056 -8.376
O: -1.251 -0.046 -7.121
C: -1.071 -1.236 -6.360
C: -0.317 -0.945 -5.082
N: 1.033 -0.499 -5.377
C: 1.836 -0.149 -4.213
C: 1.351 1.003 -3.341
O: 1.355 2.252 -4.012
C: 0.127 2.628 -4.597
H: -0.874 0.873 -8.879
H: 0.481 -0.115 -8.285
H: -0.945 -0.898 -8.991
H: -0.526 -1.978 -6.952
H: -2.058 -1.640 -6.119
H: -0.265 -1.866 -4.493
H: -0.903 -0.222 -4.496
H: 0.991 0.290 -6.009
H: 2.840 0.098 -4.564
H: 1.929 -1.036 -3.579
H: 2.039 1.098 -2.497
H: 0.353 0.810 -2.928
H: -0.719 2.340 -3.965
H: -0.026 2.188 -5.587
H: 0.132 3.713 -4.696

Atom charges from the natural (NBO) analysis, given in e for atoms 1 to 6:
1. C -1.010
2. C -0.404
3. C -0.377
4. C -0.419
5. C -0.385
6. C -0.389

=====

2.
Below is C20H44NOP3STb as an isolated structure in a non-equilibrium geometry, with properties calculated with wB97M-V/def2-TZVPD.

Computed properties:
- Expectation value of S²: 12.8437
- Total charge: +3
- Multiplicity: 7
- Highest occupied orbital energy (spin up / spin down): -15.12 / -15.27 eV

Geometry (Å):
Tb: 0.359 0.256 0.010
P: -0.427 -0.868 2.535
P: 2.826 -1.297 0.799
P: -2.203 1.410 0.129
H: 2.254 -1.610 -2.756
C: 1.518 -0.890 -2.413
C: 1.636 0.484 -2.529
H: 2.595 0.998 -2.375
C: -1.133 -2.528 2.219
C: 0.657 -1.265 3.961
C: -1.798 -0.108 3.508
C: 4.298 -1.266 -0.312
C: 3.748 -0.808 2.312
C: 2.643 -3.097 1.108
C: -2.435 2.333 -1.444
C: -2.781 2.663 1.323
C: -3.670 0.286 0.121
H: 0.568 -1.355 -2.044
H: 0.800 1.117 -2.859
H: -1.480 -2.964 3.161
H: -0.375 -3.186 1.781
H: -1.977 -2.458 1.525
H: 0.033 -1.551 4.818
H: 1.244 -0.389 4.257
H: 1.355 -2.078 3.748
H: -1.890 -0.634 4.470
H: -2.753 -0.158 2.973
H: -1.578 0.947 3.724
H: 4.915 -2.168 -0.186
H: 4.918 -0.400 -0.048
H: 3.961 -1.186 -1.350
H: 4.587 -1.496 2.497
H: 3.106 -0.789 3.200
H: 4.167 0.194 2.146
H: 3.631 -3.570 1.162
~~~
I don't see that it's necessarily the case that "objective" and "partisan" are opposites. Can't you be at once passionately in favor of a cause or a venture, and yet cold-bloodedly realistic about its chances of success and about the necessary means of achieving it, or subsequently about the reasons for its success or failure? That may be a rare combination of traits, but is there any reason to suppose that it's a contradictory one?
Ben - you seem to be confusing "real objectivity" with in-betweenism.